Brief:
Start at the top of the contents below and restate each line, ending with the one that has "(-2.47, -0.69,".

Contents:
/*
# 1
Molecular formula: C4H9N4S
Method: DFT, ωB97M-V/def2-TZVPD

Output
- gap between HOMO and LUMO (eV) = 9.149
- highest occupied orbital energy (eV) = -12.91
- total charge = +1
- E_LUMO (eV) = -3.76
- energy relative to the best compared isomer or geometry (same formula, charge and spin) (kcal per mole) = 12.5

Atoms and positions in Å:
C (-2.47, 0.65, -0.11)
C (-0.77, -0.87, -0.13)
C (-1.55, 1.70, 0.19)
C (-0.24, 1.40, 0.00)
N (-2.08, -0.56, -0.25)
N (0.16, 0.11, -0.06)
N (-0.48, -2.09, 0.15)
N (2.67, -1.18, -0.12)
S (0.91, 2.67, -0.11)
H (-3.58, 0.75, -0.02)
H (-1.94, 2.68, 0.39)
H (2.96, -2.09, 0.16)
H (1.19, -0.06, -0.40)
H (-1.37, -2.64, 0.17)
H (0.38, -2.64, 0.23)
H (2.70, -0.72, 0.74)
H (3.35, -0.86, -0.82)
H (0.16, 3.76, -0.02)

---

# 2
Molecular formula: C4H9N5
Method: DFT, ωB97M-V/def2-TZVPD

Output
- gap between HOMO and LUMO (eV) = 8.676
- highest occupied orbital energy (eV) = -8.20
- total charge = 0
- E_LUMO (eV) = 0.48
- energy relative to the best compared isomer or geometry (same formula, charge and spin) (kcal per mole) = 169.8

Atoms and positions in Å:
C (-0.69, -0.87, -0.46)
C (0.34, 1.36, -1.08)
C (1.52, 0.01, 0.46)
C (-0.44, 1.09, 1.12)
N (-1.70, -2.76, -1.96)
N (-0.79, -1.63, 0.57)
N (-1.63, -3.11, -0.85)
N (-1.38, -2.91, 0.33)
N (0.18, 0.34, -0.03)
H (1.15, 1.98, -0.91)
H (0.54, 0.92, -1.96)
H (-0.55, 2.09, -1.30)
H (1.87, 0.71, 1.32)
H (1.50, -1.02, 0.86)
H (2.11, 0.23, -0.44)
H (0.01, 1.97, 1.40)
H (-1.55, 1.22, 1.03)
H (-0.49, 0.37, 1.89)

---

# 3
Molecular formula: C4H9N5
Method: DFT, ωB97M-V/def2-TZVPD

Output
- gap between HOMO and LUMO (eV) = 10.265
- highest occupied orbital energy (eV) = -18.79
- total charge = +2
- E_LUMO (eV) = -8.53
- energy relative to the best compared isomer or geometry (same formula, charge and spin) (kcal per mole) = 14.3

Atoms and positions in Å:
C (-1.43, 0.38, 1.05)
N (-1.06, 1.33, 0.26)
C (-0.17, 1.00, -0.83)
N (1.27, 1.07, -0.41)
C (1.84, -0.03, 0.04)
N (1.27, -1.19, 0.11)
C (-0.15, -1.35, -0.03)
N (-1.07, -0.90, 0.97)
N (-0.49, -0.20, -1.34)
H (-2.21, 0.57, 1.73)
H (-1.30, 2.26, 0.63)
H (-0.27, 1.84, -1.54)
H (1.59, 2.02, 0.06)
H (2.95, -0.14, 0.09)
H (1.83, -2.00, 0.29)
H (-0.46, -2.41, -0.30)
H (-1.51, -1.66, 1.56)
H (-0.62, -0.59, -2.34)

---

# 4
Molecular formula: C4H9NO
Method: DFT, ωB97M-V/def2-TZVPD

Output
- spin multiplicity = 2
- gap between HOMO and LUMO (alpha / beta) (eV) = 3.238 / 6.930
- highest occupied orbital energy (alpha / beta) (eV) = 0.69 / -3.19
- total charge = -1
- E_LUMO (alpha / beta) (eV) = 3.92 / 3.74
- energy relative to the best compared isomer or geometry (same formula, charge and spin) (kcal per mole) = 0.0

Atoms and positions in Å:
O (2.52, -0.50, -0.85)
C (2.06, -0.52, 0.35)
C (0.80, 0.14, 0.78)
C (-0.34, 0.09, -0.26)
C (-1.67, 0.42, 0.38)
N (-2.80, 0.20, -0.54)
H (2.64, -1.02, 1.16)
H (0.44, -0.27, 1.73)
H (0.95, 1.23, 1.03)
H (-0.39, -0.86, -0.78)
H (-0.05, 0.85, -0.99)
H (-1.82, -0.30, 1.19)
H (-1.64, 1.42, 0.77)
H (-2.91, 0.94, -1.23)
H (-3.67, 0.28, -0.01)

---

# 5
Molecular formula: C4H9NO
Method: DFT, ωB97M-V/def2-TZVPD

Output
- gap between HOMO and LUMO (eV) = 7.718
- highest occupied orbital energy (eV) = -7.09
- total charge = 0
- E_LUMO (eV) = 0.63
- energy relative to the best compared isomer or geometry (same formula, charge and spin) (kcal per mole) = 97.1

Atoms and positions in Å:
C (-1.87, 0.08, -0.05)
N (-0.54, 0.19, 0.57)
C (0.39, -0.96, 0.31)
C (1.31, -0.05, -0.54)
O (2.67, -0.02, -0.12)
C (0.51, 1.14, -0.07)
H (-2.47, -0.69, 0.44)
H (-2.37, 1.05, 0.02)
H (-1.73, -0.17, -1.11)
H (-0.13, -1.78, -0.20)
H (0.85, -1.32, 1.23)
H (1.33, -0.34, -1.60)
H (2.67, 0.74, 0.47)
H (-0.67, 0.39, 1.56)
H (0.00, 1.73, -0.85)

---

# 6
Molecular formula: C4H9NO
Method: DFT, ωB97M-V/def2-TZVPD

Output
- gap between HOMO and LUMO (eV) = 11.200
- highest occupied orbital energy (eV) = -10.30
- total charge = 0
- E_LUMO (eV) = 0.90
*/

Written answer:
# 1
Molecular formula: C4H9N4S
Method: DFT, ωB97M-V/def2-TZVPD

Output
- gap between HOMO and LUMO (eV) = 9.149
- highest occupied orbital energy (eV) = -12.91
- total charge = +1
- E_LUMO (eV) = -3.76
- energy relative to the best compared isomer or geometry (same formula, charge and spin) (kcal per mole) = 12.5

Atoms and positions in Å:
C (-2.47, 0.65, -0.11)
C (-0.77, -0.87, -0.13)
C (-1.55, 1.70, 0.19)
C (-0.24, 1.40, 0.00)
N (-2.08, -0.56, -0.25)
N (0.16, 0.11, -0.06)
N (-0.48, -2.09, 0.15)
N (2.67, -1.18, -0.12)
S (0.91, 2.67, -0.11)
H (-3.58, 0.75, -0.02)
H (-1.94, 2.68, 0.39)
H (2.96, -2.09, 0.16)
H (1.19, -0.06, -0.40)
H (-1.37, -2.64, 0.17)
H (0.38, -2.64, 0.23)
H (2.70, -0.72, 0.74)
H (3.35, -0.86, -0.82)
H (0.16, 3.76, -0.02)

---

# 2
Molecular formula: C4H9N5
Method: DFT, ωB97M-V/def2-TZVPD

Output
- gap between HOMO and LUMO (eV) = 8.676
- highest occupied orbital energy (eV) = -8.20
- total charge = 0
- E_LUMO (eV) = 0.48
- energy relative to the best compared isomer or geometry (same formula, charge and spin) (kcal per mole) = 169.8

Atoms and positions in Å:
C (-0.69, -0.87, -0.46)
C (0.34, 1.36, -1.08)
C (1.52, 0.01, 0.46)
C (-0.44, 1.09, 1.12)
N (-1.70, -2.76, -1.96)
N (-0.79, -1.63, 0.57)
N (-1.63, -3.11, -0.85)
N (-1.38, -2.91, 0.33)
N (0.18, 0.34, -0.03)
H (1.15, 1.98, -0.91)
H (0.54, 0.92, -1.96)
H (-0.55, 2.09, -1.30)
H (1.87, 0.71, 1.32)
H (1.50, -1.02, 0.86)
H (2.11, 0.23, -0.44)
H (0.01, 1.97, 1.40)
H (-1.55, 1.22, 1.03)
H (-0.49, 0.37, 1.89)

---

# 3
Molecular formula: C4H9N5
Method: DFT, ωB97M-V/def2-TZVPD

Output
- gap between HOMO and LUMO (eV) = 10.265
- highest occupied orbital energy (eV) = -18.79
- total charge = +2
- E_LUMO (eV) = -8.53
- energy relative to the best compared isomer or geometry (same formula, charge and spin) (kcal per mole) = 14.3

Atoms and positions in Å:
C (-1.43, 0.38, 1.05)
N (-1.06, 1.33, 0.26)
C (-0.17, 1.00, -0.83)
N (1.27, 1.07, -0.41)
C (1.84, -0.03, 0.04)
N (1.27, -1.19, 0.11)
C (-0.15, -1.35, -0.03)
N (-1.07, -0.90, 0.97)
N (-0.49, -0.20, -1.34)
H (-2.21, 0.57, 1.73)
H (-1.30, 2.26, 0.63)
H (-0.27, 1.84, -1.54)
H (1.59, 2.02, 0.06)
H (2.95, -0.14, 0.09)
H (1.83, -2.00, 0.29)
H (-0.46, -2.41, -0.30)
H (-1.51, -1.66, 1.56)
H (-0.62, -0.59, -2.34)

---

# 4
Molecular formula: C4H9NO
Method: DFT, ωB97M-V/def2-TZVPD

Output
- spin multiplicity = 2
- gap between HOMO and LUMO (alpha / beta) (eV) = 3.238 / 6.930
- highest occupied orbital energy (alpha / beta) (eV) = 0.69 / -3.19
- total charge = -1
- E_LUMO (alpha / beta) (eV) = 3.92 / 3.74
- energy relative to the best compared isomer or geometry (same formula, charge and spin) (kcal per mole) = 0.0

Atoms and positions in Å:
O (2.52, -0.50, -0.85)
C (2.06, -0.52, 0.35)
C (0.80, 0.14, 0.78)
C (-0.34, 0.09, -0.26)
C (-1.67, 0.42, 0.38)
N (-2.80, 0.20, -0.54)
H (2.64, -1.02, 1.16)
H (0.44, -0.27, 1.73)
H (0.95, 1.23, 1.03)
H (-0.39, -0.86, -0.78)
H (-0.05, 0.85, -0.99)
H (-1.82, -0.30, 1.19)
H (-1.64, 1.42, 0.77)
H (-2.91, 0.94, -1.23)
H (-3.67, 0.28, -0.01)

---

# 5
Molecular formula: C4H9NO
Method: DFT, ωB97M-V/def2-TZVPD

Output
- gap between HOMO and LUMO (eV) = 7.718
- highest occupied orbital energy (eV) = -7.09
- total charge = 0
- E_LUMO (eV) = 0.63
- energy relative to the best compared isomer or geometry (same formula, charge and spin) (kcal per mole) = 97.1

Atoms and positions in Å:
C (-1.87, 0.08, -0.05)
N (-0.54, 0.19, 0.57)
C (0.39, -0.96, 0.31)
C (1.31, -0.05, -0.54)
O (2.67, -0.02, -0.12)
C (0.51, 1.14, -0.07)
H (-2.47, -0.69, 0.44)